Crash and Burn

Susan Thoughts on God

Crash and Burn
Dad is sad. Very Very Sad. He had a bad day. What a day Dad had.

********
No. 1
# K3AcBr8
Calculated powder XRD pattern, Cu Kα. Input: a PBE-relaxed structure.
No peak broadening, texture or thermal motion is included.

Top 8 peaks for 2θ = 15–90°, by angle:
- 19.93 deg, d 4.454, rel. 41.7
- 32.34 deg, d 2.768, rel. 100.0
- 33.81 deg, d 2.651, rel. 44.8
- 39.58 deg, d 2.277, rel. 18.2
- 44.12 deg, d 2.053, rel. 13.0
- 48.57 deg, d 1.875, rel. 15.2
- 56.72 deg, d 1.623, rel. 18.0
- 59.56 deg, d 1.552, rel. 32.4

Cell: 9.7734 9.7734 9.7734 Å, 134.89 134.89 65.71°
Sites, in units of the cell vectors:
K: 0.0000 0.0000 0.0000
K: 0.2500 0.7500 0.5000
K: 0.7500 0.2500 0.5000
Ac: 0.5000 0.5000 0.0000
Br: 0.1454 0.1454 0.5244
Br: 0.1454 0.6211 0.0000
Br: 0.3789 0.3789 0.5244
Br: 0.3789 0.8546 0.0000
Br: 0.6211 0.1454 0.0000
Br: 0.6211 0.6211 0.4756
Br: 0.8546 0.3789 0.0000
Br: 0.8546 0.8546 0.4756

***

No. 2
# K2AcBr5
Calculated powder XRD pattern, Cu Kα. Input: a PBE-relaxed structure.
No peak broadening, texture or thermal motion is included.

Top 8 peaks for 2θ = 15–90°, by angle:
- 19.46 deg, d 4.561, rel. 41.8
- 23.63 deg, d 3.766, rel. 66.9
- 28.79 deg, d 3.101, rel. 100.0
- 30.23 deg, d 2.957, rel. 64.4
- 31.77 deg, d 2.816, rel. 60.8
- 37.58 deg, d 2.394, rel. 47.0
- 42.23 deg, d 2.140, rel. 50.4
- 45.41 deg, d 1.997, rel. 41.8

Cell: 8.7681 8.7724 9.1431 Å, 61.37 61.44 90.00°
Sites, in units of the cell vectors:
K: 0.0000 0.0000 0.0000
K: 0.4996 0.5002 0.0000
Ac: 0.1395 0.6401 0.7194
Br: 0.3043 0.3424 0.8527
Br: 0.3047 0.8052 0.8520
Br: 0.3548 0.8559 0.2870
Br: 0.8418 0.3422 0.8531
Br: 0.8419 0.8047 0.8530

***

No. 3
# KAcBr2O
Calculated powder XRD pattern, Cu Kα. Input: a PBE-relaxed structure.
No peak broadening, texture or thermal motion is included.

Top 8 peaks for 2θ = 15–90°, by angle:
- 26.72 deg, d 3.336, rel. 97.5
- 28.72 deg, d 3.108, rel. 100.0
- 30.91 deg, d 2.893, rel. 85.1
- 37.21 deg, d 2.416, rel. 34.2
- 41.08 deg, d 2.197, rel. 50.2
- 49.68 deg, d 1.835, rel. 37.5
- 52.28 deg, d 1.750, rel. 39.1
- 59.50 deg, d 1.554, rel. 23.0

Cell: 4.3952 4.3952 15.3691 Å, 90.00 90.00 90.00°
Sites, in units of the cell vectors:
K: 0.2500 0.2500 0.1029
K: 0.7500 0.7500 0.8971
Ac: 0.2500 0.2500 0.5787
Ac: 0.7500 0.7500 0.4213
Br: 0.2500 0.2500 0.3219
Br: 0.2500 0.2500 0.8800
Br: 0.7500 0.7500 0.1200
Br: 0.7500 0.7500 0.6781
O: 0.2500 0.7500 0.5000
O: 0.7500 0.2500 0.5000

***

No. 4
# Ac2LaBr2N2
Calculated powder XRD pattern, Cu Kα. Input: a PBE-relaxed structure.
No peak broadening, texture or thermal motion is included.

Top 8 peaks for 2θ = 15–90°, by angle:
- 19.37 deg, d 4.582, rel. 16.9
- 26.42 deg, d 3.374, rel. 83.2
- 33.07 deg, d 2.709, rel. 100.0
- 37.71 deg, d 2.385, rel. 38.1
- 51.01 deg, d 1.790, rel. 59.5
- 61.46 deg, d 1.509, rel. 16.4
- 62.84 deg, d 1.479, rel. 14.5
- 77.80 deg, d 1.228, rel. 17.5

Cell: 8.8917 8.8917 8.8917 Å, 148.88 148.88 44.59°
Sites, in units of the cell vectors:
Ac: 0.0996 0.0996 0.0000
Ac: 0.9004 0.9004 0.0000
********

Excerpted from Hop on Pop.

It probably started with the fog. It covered the highway like a something out of a Jane Eyre novel as I drove up the shore toward the big town of Duluth on Tuesday. I went to appear on a radio show. And to shop (because every good outing needs shopping). We followed the directions and arrived well in time. And I gave the interview. My girlfriend kept giving me the thumbs up, so I felt as if I’d done okay, hadn’t tripped over my tongue too much, had at least sounded semi-articulate. I was feeling fine. Empowered. Successful. I thought, “Hey, I’m pretty cool.”

We had shopping blessings…front row parking, great deals. Even experienced a God-moment when my girlfriend found the perfect jacket in the right size on the clearance rack.

## Misplaced data records
/*
This entry pairs a crystal structure of Re5Rh3 with its simulated powder diffraction line list. Radiation: copper Kα. Structure: a DFT-relaxed cell (GGA-PBE, Alexandria).
No peak broadening, texture or thermal motion is included.

Atomic structure:
Lattice parameters (Å, degrees): 5.4913 3.8961 6.1099 90.00 116.27 90.00
Space group P2/m (No. 10)
Symmetry-distinct sites (fractional):
Re1 0.0000 0.0000 0.0000
Re2 0.1284 0.5000 0.7518
Re3 0.2391 0.0000 0.4919
Rh1 0.3732 0.5000 0.2449
Rh2 0.5000 0.0000 0.0000

Main lines, in order of rising 2θ (2θ from 10° to 90°):
- 2θ 40.21, rel. 100
- 2θ 46.64, rel. 33
- 2θ 47.04, rel. 16
- 2θ 68.09, rel. 11
- 2θ 68.37, rel. 16
- 2θ 82.11, rel. 19
- 2θ 82.66, rel. 6
- 2θ 82.78, rel. 6

=====

This entry pairs a crystal structure of Mn6CrGa2 with its simulated powder diffraction line list. Radiation: copper Kα. Structure: a DFT-relaxed cell (GGA-PBE, Alexandria).
No peak broadening, texture or thermal motion is included.

Atomic structure:
Lattice parameters (Å, degrees): 7.0045 12.0795 2.5729 90.00 90.00 90.00
Space group Cmm2 (No. 35)
Symmetry-distinct sites (fractional):
Mn1 0.1598 0.0000 0.0000
Mn2 0.1794 0.3480 0.5872
Cr1 0.0000 0.5000 0.2318
Ga1 0.0000 0.1910 0.0956

Main lines, in order of rising 2θ (2θ from 10° to 90°):
- 2θ 38.00, rel. 33
- 2θ 43.68, rel. 78
- 2θ 44.88, rel. 100
- 2θ 45.03, rel. 38
- 2θ 46.34, rel. 57
- 2θ 53.56, rel. 24
- 2θ 53.66, rel. 15
- 2θ 78.28, rel. 24

=====

This entry pairs a crystal structure of Nd7Sm3Cd with its simulated powder diffraction line list. Radiation: copper Kα. Structure: a DFT-relaxed cell (GGA-PBE, Alexandria).
No peak broadening, texture or thermal motion is included.

Atomic structure:
Lattice parameters (Å, degrees): 7.1408 7.1408 8.7450 90.00 90.00 120.00
Space group P3m1 (No. 156)
Symmetry-distinct sites (fractional):
Nd1 0.0000 0.0000 0.0000
Nd2 0.1644 0.3288 0.3361
Nd3 0.5013 0.0026 0.0070
Sm1 0.3314 0.1657 0.6692
Cd1 0.6667 0.3333 0.3377

Main lines, in order of rising 2θ (2θ from 10° to 90°):
- 2θ 17.56, rel. 6
- 2θ 30.67, rel. 100
- 2θ 35.56, rel. 51
- 2θ 51.17, rel. 36
- 2θ 60.85, rel. 42
- 2θ 63.86, rel. 12
- 2θ 83.45, rel. 17
- 2θ 86.13, rel. 16

=====

This entry pairs a crystal structure of Y3GaRh8 with its simulated powder diffraction line list. Radiation: copper Kα. Structure: a DFT-relaxed cell (GGA-PBE, Alexandria).
No peak broadening, texture or thermal motion is included.

Atomic structure:
Lattice parameters (Å, degrees): 5.2913 5.2913 26.0349 90.00 90.00 120.00
Space group R3m (No. 160, hexagonal axes)
Symmetry-distinct sites (fractional):
Y1 0.0000 0.0000 0.0000
Y2 0.0000 0.0000 0.1293
Y3 0.0000 0.0000 0.6161
Ga1 0.0000 0.0000 0.4927
Rh1 0.0000 0.0000 0.3124
Rh2 0.0000 0.0000 0.8130
Rh3 0.0002 0.5001 0.5616
Rh4 0.0014 0.5007 0.0629

Main lines, in order of rising 2θ (2θ from 10° to 90°):
- 2θ 20.53, rel. 19
- 2θ 39.88, rel. 100
- 2θ 39.95, rel. 34
- 2θ 41.63, rel. 17
- 2θ 41.80, rel. 48
- 2θ 64.60, rel. 22
- 2θ 71.06, rel. 17
*/
## The data records stop here

I was feeling fine until I drove into the driveway….and discovered my garbage littered all over the front yard. The dog met me with his muddy paws. I dragged in my packages and met my husband with words that seemed to emanate from me like an out of body experience. I went to bed feeling yucky.

And woke up feeling worse. Nothing could shake me from this feeling that the fog had filtered into my brain and turned my world soggy and cold. I discovered that because of a glitch, none of my TiVo shows had been recorded. (And Tuesday is my big night – Gilmore Girls, NCIS, Pepper Dennis, the Unit, House…bottom line — don’t call me on a Tuesday night.) I’d forgotten to put my clothes in the dryer and they’d begun to smell. It rained all day and the dog tracked muddy paws through my kitchen. And then I listened to the radio interview.

I stunk. Okay, maybe it wasn’t all my fault – the announcer interrupted me nearly every sentence and my Minnesota nice demanded that I answer, causing me to lose my train of thought. However, I sounded so horrible I ran from the room screaming.

I wasn’t cool. In fact, I could smell the smoke from where my pride lay in a burning rubble.

As I flung myself across my bed (wondering where I’d put the M &Ms), I happened to open to the Bible study for that day. Philippians 1:20: I eagerly expect and hope that I will in no way be ashamed, but will have sufficient courage so that now as always Christ will be exalted in my body, whether by life or by death.

Okay, so reality check. It wasn’t like I was flogged, or shipwrecked, or even forced to eat raw snake or anything. I didn’t nail the interview. Okay, I stunk. But the bottom line was, in analysis, I did what I hoped…I spoke the truth about my love for Christ, and the truth inside my books. Hopefully they heard my desire to be authentic, and my love for my stories.

My kids still think I’m cool. And in the end, there’s only One audience that matters. And He’s got the best reception of anyone.